Don't work trades

Blue collar jobs are a social death sentence. Most blue collar workers are bullies. thats why there is a stigma against working those jobs. Do you think you're gonna look like a badass attractive male model in designer clothing while walking to his Miata or BMW when you work in sheetrock demolition all day?

Left in pic related is how women see you as a blue collar worker. Right is how they see you as a white collar worker. Mid is how they see you as a 'manager' of a blue collar operation/business

Attached: young-male-model-old-car-10024388.jpg (1575x592, 282.19K)

Daily reminder they took this from you.

Attached: WageSlave5.jpg (1293x3962, 964.94K)

>t. Quit his construction job on day 1 because the bigger men made fun of you for not being able to carry the heavy bags

Lmao women love the pic on the left. And I will absolutely bully you while covered in sheet rock dust you little soft handed faggot.

Good thing I’m always been a bully myself. They tried to bully me once in highschool because I was the new kid with no friends and I just started punching people in the face who acted like cunts.

Lol, someone made fun of you, didn't they?

u dont have highschools in belgium

The piece is interrupted by data records
~~~
Computed, not measured: a 2-piece molecular cluster, C7H11NSi overall, with the ωB97M-V functional and the def2-TZVPD basis.

Each line ends with the natural charge from an NBO analysis.
Element x y z (Å)
C1 -1.84165 -2.24434 0.07509  -0.633
C2 -1.39769 -0.73470 0.09731  0.012
C3 -2.33574 0.15032 0.65592  -0.217
C4 -2.31847 1.49476 0.31879  -0.199
C5 -1.16772 2.03744 -0.20543  -0.220
C6 -0.17854 1.18061 -0.64289  -0.181
C7 -0.39492 -0.17134 -0.66728  -0.219
H1 -1.44582 -2.79054 -0.72025  0.215
H2 -1.24174 -2.74809 0.85139  0.213
H3 -2.86098 -2.45658 0.27347  0.219
H4 -3.22800 -0.08552 1.19436  0.205
H5 -3.15407 2.05483 0.56008  0.202
H6 -0.98141 3.04743 -0.36381  0.207
H7 0.65379 1.51245 -1.08335  0.200
H8 0.20873 -0.75963 -1.18679  0.194
N1 3.53664 0.89777 0.51163  -1.351
Si1 4.49544 -0.32850 -0.00096  1.387
H9 3.42034 1.82308 0.21424  0.392
H10 5.55718 -0.48549 1.10006  -0.217
H11 4.67463 -1.39396 -0.98157  -0.209

Multiplicity   1
Total charge   0
HOMO-LUMO gap   8.36 eV
E_HOMO   -8.79 eV

---

Computed, not measured: an isolated ion of composition C7H11O and charge -1, with the ωB97M-V functional and the def2-TZVPD basis.

Each line ends with the natural charge from an NBO analysis.
Element x y z (Å)
C1 -1.66563 0.50686 2.69302  -0.434
C2 -1.03300 -0.29078 1.83471  -0.167
C3 -0.04032 0.08933 0.80620  -0.018
C4 1.19553 0.46010 1.10927  -0.422
C5 -0.61090 0.12186 -0.60155  -0.419
C6 0.35555 0.37315 -1.74321  -0.456
C7 1.15079 -0.91823 -2.15215  -0.001
O1 1.01077 -1.23588 -3.45124  -0.957
H1 -2.42406 0.05101 3.31174  0.190
H2 -1.45055 1.56520 2.69018  0.195
H3 -1.30521 -1.34382 1.79696  0.193
H4 1.92362 0.61648 0.32261  0.205
H5 1.61599 0.60665 2.10133  0.183
H6 -1.16890 -0.81273 -0.75618  0.207
H7 -1.38903 0.89667 -0.53623  0.193
H8 1.02538 1.18892 -1.47006  0.170
H9 -0.17442 0.66467 -2.64122  0.221
H10 0.77039 -1.73423 -1.47793  0.055
H11 2.21400 -0.80525 -1.83627  0.063

Multiplicity   1
Total charge   -1
HOMO-LUMO gap   5.54 eV
E_HOMO   -2.10 eV

---

Computed, not measured: an isolated ion of composition C7H11O and charge -2, with the ωB97M-V functional and the def2-TZVPD basis.

Each line ends with the natural charge from an NBO analysis.
Element x y z (Å)
C1 2.69974 0.16202 0.42564  -0.018
O1 3.80634 -0.66831 0.40480  -1.018
C2 1.40057 -0.51917 -0.13279  -0.419
C3 0.14969 0.33318 0.02062  -0.462
C4 -0.98497 -0.18932 -0.88745  -0.282
C5 -1.99703 -1.04757 -0.33059  -0.468
C6 -2.97895 1.33861 0.59148  -0.644
C7 -2.47843 0.57787 -0.49213  -0.289
H1 2.84435 0.96000 -0.34551  0.059
H2 2.60217 0.70116 1.38792  0.075
H3 1.25781 -1.48531 0.35599  0.167
H4 1.63011 -0.71808 -1.18189  0.181
H5 -0.10885 0.27475 1.09801  0.139
H6 0.29532 1.40272 -0.18442  0.178
H7 -2.19078 -1.33762 0.71643  0.144
H8 -2.37839 -1.75361 -1.08041  0.166
H9 -4.03391 1.59817 0.56376  0.153
H10 -2.36673 1.42227 1.48150  0.170
H11 -3.00112 0.60707 -1.44627  0.168

Multiplicity   2
Total charge   -2
HOMO-LUMO gap (spin up / spin down)   5.26 / 5.67 eV
~~~

they dont

Been welding for a few years. The guys I worked with were pretty cool but management are always the kiss ass fags that never moved on to better opportunities. I kept asking for a raise over $20 but they said $20 was good pay for my job (fabricator). So I quit in January and have been living off of savings and little side jobs here and there. Was looking at job ads online and saw their ad, still looking for my replacement, now offering up to $28/hr. Lmao! Seriously, tradies in this thread, tell those niggers you want a raise

no im just being realistic. i think blue collar jobs are cool in principle but i'm saying they are not looked on favorably

u have to learn boxing or kickboxing

i got bullied too. in the beginning.
when they go too far, smash a hammer in the fuckers face.
Pretend u were scared and he tried to attack you.

reminder that ragged clothes are for faggots

why did so many mentally ill people flock to Any Forums after 2020?

stfu pussy

do whatever you're passionate about. life is short and is for living. don't miss it.

you work for yourself not for others retard

every time i give people advice to start a business they just make excuses bro

The apprentice got made fun of and fucked with first day on the job lol it gets easier, stop being a pussy and jab back.

>do whatever you're passionate about
bullshit, do what will buy you food, or be the most passionate corpse

i dont work blue collar jobs dude. im just giving a PSA. That said i dont agree with you. Standing up for yourself comes in multiple steps and has pre-requisites to be successful

If you have low test you'll fail to do it
If you have bad/nonexistant rhetorical skills you'll fail to do it
If you can't fight or have a 'freeze' response from adrenaline you'll fail to do it

If the guys at your job make fun of you it means they trust you not to immediately run to the boss when shit gets heavy. Ragging on the new guy day 1 serves a practical purpose to gage whether or not they could trust you. We had a 100 lb 5'3" feminine looking autistic guy at my job site and he was beloved by almost everyone there because he worked hard and you could trust him. OP is a faggot.

Get the license you need in you trade, start your own company and work for yourself, hire a few men, etc. If you have a brain you will be well off.

If the guys at your job make fun of you it means they trust you not to immediately run to the boss when shit gets heavy. Ragging on the new guy day 1 serves a practical purpose to...

no you're just childish faggots asking to get decked. Quit making excuses to be a dick bro

Yeah, you definitely made this thread because you have hurt feelings.

Says the faggot on the board where everyone is a nigger of some type.

Attached: Bucko.png (1024x998, 1.11M)

That’s Romania lol

>social death sentence

>Most blue collar workers are bullies.

Yeah and thats why you stick up for yourself and make everyone on the job site know that you're the apex predator.

>work fag-tory for 2 years now
>brain tired from sleep deprivation from early shift
>tinnitus from hissing air (only 70 dB but it still fucked me)
>possible lead poisoning
I regret working there.

>Don't do blue collar
>No I'm not blue collar why do you ask
What a worthless faggot opinion

Stay mad and stay broke

I started my business last month and it changed my life. I bust my ass everyday and love it because it’s all for me. I don’t know why I put it off for so long, it just feels impossible until you do it.

Tradies like to brag about how much money they make but they sure as fuck work for me for a lot less than I make doing computer work from home.

ITT: limp wristed white collar cope

dont you nerds have spreadsheets to balance?

You sure showed them you dumbass.

>Tradies like to brag about how much money they make but they sure as fuck work for me for a lot less than I make doing computer work from home.

Union guys make the most money in the trades.

So basically government workers. Yea my uncle was a union elevator repair guy back in the 90's making over $100K a year.

you know nigger, back in the day they didn't whine about their problems, they walked up to this bully and gave them what for.

You can go and push paper and continue to lower the testosterone of mankind.

You can look at your son with your cuck wife and say, sorry son, youre a fucked up genetic mess because daddy didnt do any physical activity at all and gossiped like a school girl by the water cooler.

fitter father=fitter sons.

Didn't you post this thread on Any Forums?